What is a Hiring Freeze

A hiring freeze is when an employer temporarily halts non-essential hiring to reduce costs — usually when an organization is under financial duress. Such a cost-cutting effort may also be undertaken by management due to a recession or other economic or market dislocation or crisis, such as one that causes production overcapacity or redundancy. Hiring freezes may be short term or long term, and are often used to otherwise avoid laying off employees. Hiring freezes may be accomplished by not filling open positions caused by worker terminations or natural attrition. In addition, no new positions may be created.

Breaking Down Hiring Freeze

Hiring freezes can happen at struggling companies but also successful ones that have unexpected challenges to their balance sheets. A sudden economic downturn, catastrophic event, product failure, unexpected cost or rise in costs may lead management to conclude that cost-cutting is the best short-term solution. Hiring freezes allow companies to reduce or eliminate non-essential positions, in effect hitting a re-set button on payroll expense growth. With hiring freezes, management may be able to restructure work groups and consolidate employees to create greater efficiency in producing the essential goods and services for its customers. A company still must do everything it can to maximize revenue, even during a hiring freeze.

Formula: C31H38F6N4NiOP2
Source: the OMol25 dataset
Level of theory: ωB97M-V/def2-TZVPD

ORCA input file:
```
! wB97M-V def2-TZVPD RIJCOSX def2/J DEFGRID3
* xyz 0 3
Ni -1.08678 -1.99162 0.58924
C -0.24428 3.47986 3.42966
C -0.84844 3.15727 2.26909
C -0.19518 2.50001 1.07257
C 0.88186 1.41408 1.37391
C 2.21378 2.06305 1.19390
C 2.55642 3.24838 1.72307
C 1.70227 4.47114 2.01757
C 0.79127 4.52853 3.32476
C 0.29522 -2.74465 2.28710
H -0.45731 3.04311 4.42822
H -1.95207 3.05791 2.15132
H 0.20983 3.33729 0.47762
H -0.94272 1.98444 0.43569
H 0.73403 0.97093 2.40220
H 0.74332 0.61610 0.58657
H 2.96806 1.45657 0.65514
H 3.64240 3.42598 1.72576
H 1.20065 4.88424 1.10560
H 2.44022 5.22986 2.29404
H 1.37676 4.55288 4.25501
H 0.25492 5.49587 3.27817
H 0.59128 -1.72613 2.47640
H 1.04107 -3.28618 1.63636
H 0.51442 -3.27826 3.23324
P 1.54098 -1.47716 -1.20641
P -2.10896 -0.79083 -1.09273
N 2.89698 -0.26664 -1.75663
N 2.12447 -2.62894 -2.54738
N -2.09217 0.98822 -1.82913
N -3.58490 -1.13545 -2.17580
C 0.36235 -0.66738 -2.33449
C -0.96487 -1.43294 -2.37124
C 4.06631 -0.02202 -1.04092
C 4.92735 0.80588 -1.78875
C 4.26740 1.04621 -3.02531
C 3.02056 0.43212 -2.95143
C 2.53622 -3.93800 -2.31131
C 3.11370 -4.45851 -3.47333
C 3.04635 -3.44367 -4.47108
C 2.41137 -2.35972 -3.89048
C -2.40851 2.18247 -1.20476
C -2.31084 3.25209 -2.10765
C -1.94117 2.70590 -3.35887
C -1.76107 1.33257 -3.15257
C -4.10915 -0.43093 -3.27020
C -5.05528 -1.19076 -3.94111
C -5.10270 -2.44678 -3.26718
C -4.17036 -2.39401 -2.22812
H 0.74304 -0.62847 -3.35932
H 0.19403 0.37921 -2.05082
H -1.38202 -1.42204 -3.40715
H -0.78254 -2.47085 -2.06571
H 4.18771 -0.42060 -0.05383
H 5.87767 1.21815 -1.47817
H 4.63685 1.60341 -3.87204
H 2.22180 0.46375 -3.67906
H 2.38075 -4.38331 -1.33825
H 3.53443 -5.44292 -3.59631
H 3.40224 -3.47589 -5.49976
H 2.16309 -1.42340 -4.36694
H -2.81979 2.19325 -0.20847
H -2.52907 4.28454 -1.89043
H -1.82990 3.25695 -4.28960
H -1.55298 0.57539 -3.88729
H -3.82658 0.57642 -3.49165
H -5.60055 -0.86559 -4.81928
H -5.73461 -3.28149 -3.52855
H -3.89268 -3.15424 -1.52061
C -0.11209 -0.55837 4.62409
C -1.10894 -1.72754 4.50757
O -1.28576 -2.35038 3.31509
C -0.82960 -2.82750 5.63080
F -0.62860 -2.23204 6.84124
F -1.85103 -3.69979 5.79033
F 0.30382 -3.54939 5.32827
C -2.53237 -1.03448 4.66719
F -2.57683 -0.08048 5.63690
F -2.83601 -0.38855 3.48409
F -3.48569 -1.94278 4.95088
H 0.91851 -0.78977 4.34854
H -0.06671 -0.22916 5.66399
H -0.43463 0.27560 3.98897
*
```

Calculated values
⟨S²⟩: 2.027
Relative energy (zero: lowest compared OMol25 entry of this formula, charge and spin) in kJ/mol: 942.41
HOMO energy (spin up / spin down) in eV: -6.38 / -7.13
Orbital gap (spin up / spin down) in eV: 3.4 / 2.5
The article goes on =

A hiring freeze may not mean that all hiring is stopped. Companies may still fill positions that are essential to meeting the demands of customers or for specialized job roles that are key to an organization's operations. Such positions are easier to fill with freelance, part-time, hourly (non-salary) or contract position workers, which allows managers to circumvent full-time hiring freeze rules. Even during hiring freezes organizations need to maintain their core activities, such as product development, production and sales.

Hiring Freeze Impact

Misplaced molecular data:
____________
1.
Here is an isolated molecule of C6H7N3O4 from the OMol25 dataset. Energies are from wB97M-V/def2-TZVPD.

```
20
Properties=species:S:1:pos:R:3
O 1.66665 1.85869 -0.74998
O -1.38867 1.95625 -1.18228
O 2.15051 -1.85572 1.37948
O -2.34487 -1.75251 0.36290
N 1.15847 -0.02895 0.41560
N -1.08181 -0.00457 -0.14845
N -1.17438 -1.27407 0.23457
C -1.65289 0.82760 -0.92509
C 1.83609 1.10102 0.16477
C 2.91254 1.24588 1.15245
C -0.11556 -1.94724 0.62427
C 1.22840 -1.31385 0.81325
C -2.90212 0.11798 -1.70669
H -0.23027 -3.01147 0.82506
H -2.77863 0.41303 -2.77540
H 2.81394 2.11929 1.74840
H 2.82487 0.32760 1.78907
H -3.10293 -0.89997 -1.37704
H 3.88748 1.41734 0.59120
H -3.70682 0.70368 -1.23607
```

Summary:
gap between HOMO and LUMO (alpha / beta) = 8.8 / 5.9 eV
maximum force = 8.049 eV Å⁻¹
multiplicity = 3
HOMO (alpha / beta) = -10.01 / -10.05 eV
energy above the lowest of the compared OMol25 structures with the same formula, charge and spin = 0.0 kcal per mole

These are the Löwdin partial charges, in e, on atoms 1 to 8: number 1, O, carries 0.116; number 2, O, carries 0.158; number 3, O, carries 0.106; number 4, O, carries -0.005; number 5, N, carries 0.248; number 6, N, carries 0.232; number 7, N, carries -0.214; number 8, C, carries -0.516

2.
Here is an isolated ion of composition C6H7N4O4 and charge -1 from the OMol25 dataset. Energies are from wB97M-V/def2-TZVPD.

```
21
Properties=species:S:1:pos:R:3
O -4.35144 -0.82365 -0.22917
O -3.03778 0.95191 -0.72755
O 1.61323 -3.62574 -0.00701
O -1.83186 -2.15770 -0.77302
N 0.47218 0.19627 0.87026
N -0.23266 0.25753 -1.42106
N 1.17000 -2.57735 -0.40583
N 1.89369 0.92057 -0.78811
C -3.32557 -0.19333 -0.41300
C -0.43514 -0.58942 1.61713
C -2.13378 -1.29788 -0.01155
C -1.68428 -1.01241 1.31482
C 0.82976 -0.05901 -0.63285
C 1.37661 -1.43480 -0.62472
H 1.40460 0.14938 1.31764
H 1.46976 1.84567 -0.79802
H 2.64272 0.67564 -1.51629
H -2.47007 -1.10473 2.07608
H -0.96824 0.79782 -0.86864
H -0.19073 -0.43382 2.68708
H -0.66515 -0.55645 -1.81770
```

Summary:
gap between HOMO and LUMO = 6.5 eV
maximum force = 4.958 eV Å⁻¹
multiplicity = 1
net charge = -1
HOMO = -3.65 eV
energy above the lowest of the compared OMol25 structures with the same formula, charge and spin = 26.6 kcal per mole
SMILES = NC(N)(C#[N+][O-])N/C=C\C(=O)C(=O)[O-]

These are the Löwdin partial charges, in e, on atoms 1 to 8: number 1, O, carries -0.004; number 2, O, carries -0.028; number 3, O, carries -0.022; number 4, O, carries 0.070; number 5, N, carries 0.031; number 6, N, carries 0.119; number 7, N, carries -0.075; number 8, N, carries 0.039

3.
Here is a 2-piece molecular cluster, C6H7N5S overall from the OMol25 dataset. Energies are from wB97M-V/def2-TZVPD.

```
19
Properties=species:S:1:pos:R:3
S 3.47061 -0.65674 0.18225
N -1.60564 0.08770 0.38155
N -0.51522 -1.47290 -1.18844
N 2.13394 -0.05968 -0.22570
N 0.26082 3.22826 1.11092
N 1.66839 0.87778 -0.73293
C 0.27641 -1.88070 -0.22548
C 0.45974 2.59764 0.15921
C 0.17208 -1.26875 1.10742
____________

A hiring freeze can put a strain on existing employees, as there might not be any replacements for individuals that leave the company (ie. retirement, maternity leave or regular turnover). If the situation gets too extreme, overall performance may suffer, along with employee job satisfaction.

A hiring freeze may also compel managers to retain low-performing employees rather than dealing with their underperformance, either through remedial action or termination. In addition, the hiring of temporary, freelance or other casual employees may result in the clawing back of some of the cost savings of a hiring freeze, and may also create a lack of continuity or erosion of transferrable job skills or intelligence when hiring resumes.